-- Contents --
/*
[1]
VASP calculation (PBE-GGA) on a geometry-optimized In2AgSe3Br structure.

Geometry as extended XYZ:
```
14
Lattice="7.024 -4.124 0.000 7.024 4.124 0.000 4.603 0.000 6.720" Properties=species:S:1:pos:R:3 pbc="T T T"
In 2.301 0.000 3.360
Se 7.014 0.000 5.291
Se 8.336 2.251 1.622
Br 4.769 0.000 1.718
Br 13.881 0.000 5.001
Se 11.635 0.000 1.429
Ag 11.036 0.000 3.976
Se 10.314 -2.251 5.098
Se 8.336 -2.251 1.622
In 0.000 0.000 0.000
In 3.512 2.062 0.000
Se 10.314 2.251 5.098
Ag 7.614 0.000 2.743
In 3.512 -2.062 0.000
```

Calculated values
Energy of formation from the pure elements ... -0.57 eV per atom
Spin magnetization ... 0.000 μB per atom

***

[2]
VASP calculation (PBE-GGA) on a geometry-optimized In2AgTe3Br structure.

Geometry as extended XYZ:
```
7
Lattice="4.301 0.000 0.000 0.000 4.301 0.000 0.000 0.000 11.705" Properties=species:S:1:pos:R:3 pbc="T T T"
In 2.150 2.150 3.092
Te 2.150 2.150 0.000
Te 0.000 0.000 2.804
In 2.150 2.150 8.613
Te 0.000 0.000 8.901
Ag 0.000 0.000 0.000
Br 2.150 2.150 5.853
```

Calculated values
Energy of formation from the pure elements ... -0.35 eV per atom
Spin magnetization ... 0.000 μB per atom

***

[3]
VASP calculation (PBE-GGA) on a geometry-optimized KAgBr3 structure.

Geometry as extended XYZ:
```
5
Lattice="-2.707 -3.213 -3.421 3.343 -4.092 1.198 -3.293 -1.512 4.026" Properties=species:S:1:pos:R:3 pbc="T T T"
Ag -1.377 -4.431 0.961
K -0.005 -0.002 0.006
Br 0.270 -3.675 -1.052
Br -3.052 -2.387 0.366
Br -0.027 -2.826 2.675
```

Calculated values
Energy of formation from the pure elements ... -1.18 eV per atom

***

[4]
VASP calculation (PBE-GGA) on a geometry-optimized KAgBr3 structure.

Geometry as extended XYZ:
```
10
Lattice="6.541 -3.836 0.000 6.541 3.836 0.000 4.291 0.000 6.251" Properties=species:S:1:pos:R:3 pbc="T T T"
Br 7.782 -1.696 1.227
Br 6.533 -0.435 4.699
Br 9.928 -2.140 4.352
Br 7.527 2.131 1.935
Ag 8.739 0.000 3.145
Br 9.673 1.705 5.061
K 4.658 0.000 1.676
Ag 0.053 0.000 0.019
Br 10.928 0.435 1.573
K 13.344 0.000 4.802
```

Calculated values
Energy of formation from the pure elements ... -1.19 eV per atom

***

[5]
VASP calculation (PBE-GGA) on a geometry-optimized K2AgMoBr6 structure.

Geometry as extended XYZ:
```
10
Lattice="0.000 5.451 5.451 5.451 0.000 5.451 5.451 5.451 0.000" Properties=species:S:1:pos:R:3 pbc="T T T"
K 2.726 2.726 2.726
Br 2.617 5.451 5.451
Ag 5.451 5.451 5.451
Br 5.451 8.286 5.451
Br 8.286 5.451 5.451
Br 5.451 2.617 5.451
Mo 0.000 0.000 0.000
Br 5.451 5.451 2.617
K 8.177 8.177 8.177
Br 5.451 5.451 8.286
```

Calculated values
Energy of formation from the pure elements ... -1.27 eV per atom
Spin magnetization ... 0.300 μB per atom

***

[6]
VASP calculation (PBE-GGA) on a geometry-optimized K2NdAgBr6 structure.

Geometry as extended XYZ:
```
10
Lattice="-5.983 3.790 3.939 -2.541 7.271 -2.519 -7.284 0.769 -3.467" Properties=species:S:1:pos:R:3 pbc="T T T"
Br -7.593 3.332 -2.250
Br -8.868 6.981 -3.514
K -3.952 2.957 -0.512
Br -5.213 6.595 -1.774
Br -6.940 4.848 1.466
Ag 0.000 0.000 0.000
K -11.856 8.872 -1.536
Nd -7.904 5.915 -1.024
Br -10.595 5.234 -0.274
Br -8.215 8.497 0.202
```

Calculated values
Energy of formation from the pure elements ... -1.81 eV per atom
Spin magnetization ... 0.000 μB per atom

***

One value per record, in order, for E_tot: -47.9; -21.3; -13.2; -26.4; -35.2; -34.6 eV for the cell shown.

~~~~~

# 1
{
  "formula": "Na6Ta3Al5P12O48",
  "functional": "PBE",
  "state": "optimized geometry",
  "e_tot_ev_per_cell": -1651.63,
  "delta_e_f_ev_per_atom": -2.957,
  "lattice_angstrom": [[17.140, -0.001, 0.004], [-4.285, 7.422, -0.003], [0.005, -0.006, 22.028]],
*/

-- Wanted --
What is needed: say how many lines of the block above hold the word "pos", as a bare number.

-- Outcome --
6